........
Material: CaP2NO
Method: DFT, PBE
State: relaxed

Geometry as POSCAR:
```
CaP2NO
1.0
6.020 0.000 0.000
0.000 6.020 0.000
0.000 0.000 4.200
P Ca O N
2 1 1 1
Direct
0.000 0.500 0.000
0.500 0.000 0.000
0.000 0.000 0.000
0.000 0.000 0.500
0.500 0.500 0.500
```

Output
Size of the total moment: 2.97 μB per formula unit
ρ: 1.4 g cm⁻³
Relative energy among the computed polymorphs: 7.833 eV per formula unit
Final energy: -3.62 eV per atom
Fermi-level density of states: 0.668 states/eV per atom
E_form (uncorrected): 1.602 eV per atom

* * * * *

# Hf2Ga

A relaxed Hf2Ga crystal (GGA-PBE, OQMD).

The structure in POSCAR format:
```
Hf2Ga
1.0
0.000 4.026 4.026
4.026 0.000 4.026
4.026 4.026 0.000
Hf Ga
4 2
direct
0.000 0.000 0.000
0.000 0.000 0.500
0.000 0.500 0.000
0.500 0.000 0.000
0.375 0.375 0.375
0.625 0.625 0.625
```

Calculated values
**Space group**: Fd-3m (227)
**V**: 21.8 Å³ per atom
**Electronic total energy**: -7.242 eV/atom

---

# HfGa

A relaxed HfGa crystal (GGA-PBE, OQMD).

The structure in POSCAR format:
```
HfGa
1.0
9.202 0.000 0.000
0.000 8.529 0.000
0.000 0.000 5.659
Hf Ga
12 12
direct
0.111 0.250 0.000
0.111 0.250 0.500
0.192 0.636 0.250
0.192 0.864 0.750
0.383 0.027 0.250
0.383 0.473 0.750
0.617 0.527 0.250
0.617 0.973 0.750
0.808 0.136 0.250
0.808 0.364 0.750
0.889 0.750 0.000
0.889 0.750 0.500
0.086 0.549 0.750
0.086 0.951 0.250
0.349 0.132 0.750
0.349 0.368 0.250
0.434 0.750 0.000
0.434 0.750 0.500
0.566 0.250 0.000
0.566 0.250 0.500
0.651 0.632 0.750
0.651 0.868 0.250
0.914 0.049 0.750
0.914 0.451 0.250
```

Calculated values
**Space group**: Pbcm (57)
**V**: 18.5 Å³ per atom
**Electronic total energy**: -6.999 eV/atom

---

# HfGa2

A relaxed HfGa2 crystal (GGA-PBE, OQMD).

The structure in POSCAR format:
```
HfGa2
1.0
0.000 3.703 3.703
3.703 0.000 3.703
3.703 3.703 0.000
Hf Ga
2 4
direct
0.125 0.125 0.125
0.875 0.875 0.875
0.000 0.500 0.500
0.500 0.000 0.500
0.500 0.500 0.000
0.500 0.500 0.500
```

Calculated values
**Space group**: Fd-3m (227)
**V**: 16.9 Å³ per atom
**Electronic total energy**: -5.681 eV/atom

---

# Hf2Ga

A relaxed Hf2Ga crystal (GGA-PBE, OQMD).

The structure in POSCAR format:
```
Hf2Ga
1.0
6.398 0.000 0.000
0.000 6.398 0.000
0.000 0.000 6.398
Hf Ga
8 4
direct
0.250 0.250 0.250
0.250 0.250 0.750
0.250 0.750 0.250
0.250 0.750 0.750
0.750 0.250 0.250
0.750 0.250 0.750
0.750 0.750 0.250
0.750 0.750 0.750
0.000 0.000 0.000
0.000 0.500 0.500
0.500 0.000 0.500
0.500 0.500 0.000
```

Calculated values
**Space group**: Fm-3m (225)
**V**: 21.8 Å³ per atom
**Electronic total energy**: -7.653 eV/atom

---

# HfGa

A relaxed HfGa crystal (GGA-PBE, OQMD).

The structure in POSCAR format:
```
HfGa
1.0
6.074 0.000 0.000
0.000 6.074 0.000
0.000 0.000 6.074
Hf Ga
4 4
direct
0.000 0.000 0.000
0.000 0.500 0.500
0.500 0.000 0.500
0.500 0.500 0.000
0.250 0.250 0.250
0.250 0.750 0.750
0.750 0.250 0.750
0.750 0.750 0.250
```

Calculated values
**Space group**: F-43m (216)
**V**: 28.0 Å³ per atom
**Electronic total energy**: -5.522 eV/atom

---

# HfGa2

A relaxed HfGa2 crystal (GGA-PBE, OQMD).

The structure in POSCAR format:
```
HfGa2
1.0
0.000 6.219 6.219
6.219 0.000 6.219
6.219 6.219 0.000
Hf Ga
2 4
direct
0.125 0.125 0.125
0.875 0.875 0.875
0.000 0.000 0.000
0.000 0.000 0.500
0.000 0.500 0.000
0.500 0.000 0.000
```

Calculated values
**Space group**: Fd-3m (227)
**V**: 80.2 Å³ per atom
**Electronic total energy**: -3.714 eV/atom

---

# Hf11Ga10

A relaxed Hf11Ga10 crystal (GGA-PBE, OQMD).

The structure in POSCAR format:
```
Hf11Ga10
1.0
-5.168 5.168 7.366
5.168 -5.168 7.366
5.168 5.168 -7.366
Hf Ga
22 20
direct
0.061 0.312 0.749
0.104 0.437 0.334
0.104 0.770 0.666
0.179 0.179 0.000
0.230 0.896 0.334
0.312 0.061 0.749
0.312 0.563 0.251
0.325 0.325 0.650
0.325 0.675 0.000
0.437 0.104 0.334
0.437 0.688 0.749
0.563 0.312 0.251
0.563 0.896 0.666
0.675 0.325 0.000
0.675 0.675 0.350
0.688 0.437 0.749
0.688 0.939 0.251
0.770 0.104 0.666
0.821 0.821 0.000
0.896 0.230 0.334
0.896 0.563 0.666
0.939 0.688 0.251
........
Your job: count the lines earlier on that contain the word "formula" and give the number alone.
2